It’s been a while, so here’s another obscurity which doesn’t have audio up on youtube right now and which I’ve never seen anyone talk about. Tim and I have been playing it on radio for a few years now, and it’s gone over well but never has left anyone frantically scrambling for an ID. No…
Tag: 199?
Unknown Artist – Untitled white label (AM22505/AM22506)
UPDATE:, it’s been tentatively ID’d as Clarkee & Kriss-E Boy- Hardcore Revival EP. According to Andrew Abernathy on facebook: [it] came out early 00’s. I bought a copy myself in the local drum & bass/ garage shop. I asked esp clarke-e but he said it wasn’t by him. Since I’ve been terrible about posting tunes…
Kismet – Get Up
Here’s an interesting extremely obscure breakbeat hardcore track I grabbed some years ago, based purely on how rare it seemed and the fact I couldn’t find any audio for it online. As usual with these sort of things, it didn’t turn out to be a top-secret huge classic / long lost unknown which countless people…
Unknown Artist – 36 Chambers
Here’s a big anonymous jungle whitelabel I’m sure some people will want to track down. I grabbed it on the cheap when buying a bunch of tunes in bulk. Not sure when it’s from: 95? 96? 97? Though the sequencing sounds 95-style to me, it could definitely be a bit later. If anyone remembers when…
Digital Konfusion – Kill Dem Dead (Steaks Ill-Matic Mix)
A recent thread on B2VOS got me thinking about US produced tracks again – here’s one I like a lot, which is much better produced than the last EP I posted. This one is by a crew out of New York called Digital Konfusion, who I think primarily consisted of I-Cue and Peppersteak. I-Cue was…
Lion Dog Chester – Tap Dancing (Green Light Mix)
Here’s a quite obscure jungle tune I nabbed a while back which I’ve never heard absolutely anything about – in fact, the only version listed on discogs is the test-press, though my copy is a full label press. This tells me that maybe there’s a bunch of these stashed away somewhere unsold? But for whatever…
Blog to the Oldskool Radio on Soundcloud and Mixcloud
Just a quick heads up that all past episodes of the radio show are now uploaded on Mixcloud, and most are slowly going onto Soundcloud (just a handful more to go!) The catch is that some mixes can’t go on SC because they contain DMCA-able tracks…So far I’ve run into 2 problem ones being blocked:…
PBB – Dum Diddley Dum
**Here the text breaks off for records of molecules:**
********
Formula: C30H49FP2Y
Source: OMol25
Level of theory: wB97M-V/def2-TZVPD

Structure (XYZ):
```
83
Properties=species:S:1:pos:R:3:forces:R:3:lowdin_charge:R:1
Y 0.09234 -0.18900 -0.28570 -1.0392 0.1440 1.2951 1.263
C 1.60078 -2.13875 -0.43892 1.2851 0.7798 0.2865 -0.344
C 1.99644 -1.17505 -1.42551 0.6597 0.2522 1.2309 -0.355
C 2.55887 -0.34014 0.66640 -0.0342 -1.0234 -1.0820 -0.285
C 1.99762 -1.64270 0.84351 0.5778 0.2909 -1.1695 -0.269
C 2.57167 -0.05114 -0.72994 -0.0152 -1.6287 0.1071 -0.324
C 1.13982 -3.50800 -0.76656 -0.3037 -0.4422 -0.0987 -0.035
H 0.44087 -3.46783 -1.61228 0.0895 -0.2799 0.1073 0.074
H 0.62409 -3.96171 0.08547 0.0993 -0.0686 -0.2521 0.061
H 1.98241 -4.16115 -1.05652 -0.3170 0.2273 0.1021 0.110
C 2.21730 -2.46717 2.04962 -0.4229 -0.1162 0.7127 -0.016
H 1.73231 -3.43742 1.93741 0.0693 0.0412 0.2065 0.071
H 1.80289 -1.94799 2.91772 0.0672 -0.2886 0.1434 0.072
H 3.29075 -2.64713 2.23359 -0.3443 0.1557 -0.2246 0.111
C 3.39082 0.39957 1.64538 0.1387 0.4223 0.4765 -0.035
H 4.47515 0.28627 1.47938 -0.3758 -0.0500 -0.2586 0.111
H 3.19571 0.05204 2.66013 0.1407 0.1694 -0.1082 0.072
H 3.15051 1.46768 1.56753 0.2677 -0.0672 0.3436 0.073
C 3.39451 1.01314 -1.33711 0.0518 0.6427 -0.2454 -0.034
H 4.41647 0.65709 -1.56108 -0.4328 0.0898 0.0109 0.113
H 3.48420 1.85830 -0.64683 0.0929 -0.0530 -0.2752 0.066
H 2.91801 1.35903 -2.25808 0.3358 0.1824 -0.0848 0.072
C 2.11716 -1.49097 -2.86329 -0.1676 -0.0630 -0.7226 -0.029
H 2.95989 -2.18884 -3.02486 -0.3290 0.3364 -0.0692 0.112
H 2.26755 -0.58862 -3.46247 0.1298 -0.2068 -0.0107 0.066
H 1.20565 -1.97526 -3.22918 0.1688 -0.0718 -0.1822 0.068
C -2.24149 0.35948 -2.48005 0.0118 0.2157 0.0939 -0.139
C -1.56849 -0.63237 -3.06138 0.2187 -0.1939 0.0398 -0.131
C -1.46571 -0.71488 -4.56247 -0.0097 -0.7200 -0.3461 -0.160
C -0.54364 0.31975 -5.27834 0.5062 -0.0870 -0.4766 -0.169
C 0.13860 1.35747 -4.42650 -0.6270 0.2106 0.3918 -0.106
C -0.57022 2.36030 -3.88296 0.0763 -0.7705 0.0325 -0.103
C -2.06391 2.43333 -4.07852 -0.0264 0.7348 -0.1496 -0.173
C -2.94497 1.40028 -3.31237 -0.6368 0.3699 0.3234 -0.165
H -2.45753 -0.63181 -5.04204 0.2404 -0.1001 0.5322 0.121
H -1.14662 0.80699 -6.06443 0.3610 -0.1161 0.2802 0.117
H -1.09381 -1.71330 -4.83933 -0.2117 0.2665 0.1752 0.112
H -3.61087 0.93506 -4.06112 0.3153 -0.1274 0.4720 0.122
H -2.34244 0.47310 -1.38320 -0.0633 -0.2930 -0.3563 0.074
H -1.08318 -1.45378 -2.49870 -0.2772 0.3528 -0.0509 0.086
H -3.61540 1.97902 -2.65981 0.1626 -0.2832 -0.1181 0.110
H -2.39903 3.42574 -3.74756 0.0930 -0.1961 -0.2736 0.108
H -0.14140 3.12097 -3.23236 0.2530 -0.1535 -0.2046 0.096
H -2.32060 2.35776 -5.14817 0.2259 0.0912 0.3435 0.116
H 0.23906 -0.26011 -5.78648 -0.2502 0.2528 -0.0168 0.111
H 1.20188 1.19583 -4.25957 -0.1094 0.4503 0.0345 0.086
P -1.69078 -1.77378 1.18118 0.0305 -0.5367 -0.0504 0.730
C -1.14111 -3.04238 2.37079 0.3997 0.0679 0.3877 -0.257
H -2.00197 -3.51892 2.84929 0.0289 -0.0018 -0.1780 0.066
H -0.52204 -2.57717 3.13481 -0.1504 -0.0855 -0.0707 0.011
********
Here’s a great earlier track from the States, circa (1990?1991?). Pitched up it +8% like this, it actually goes quite well with early hardcore. No idea about the artist/label, if anyone knows anything please let me know! Definitely one for the 90/91 heads though. PBB – Dum Diddley Dum
Schedule 3 – Break U Down
It’s been a while since I’ve posted a US obscurity, so here’s a nice tune that I don’t think many people know about. “Break You Down” is one of those super simple tracks that just combines a couple of critical elements of other tracks, but to very nice effect. Here we get the breaks from…
**Records of molecules, as found in the file**
........
30
Properties=species:S:1:pos:R:3:lowdin_charge:R:1 method="wB97M-V/def2-TZVPD" total_charge=+2 e_tot_ev=-11574.886 spin_multiplicity=1 e_above_lowest_kj_mol=680.3 orbital_gap_ev="9.8 / 8.6"
N 1.43374 0.25383 0.07383 -0.331
N -1.23545 0.14069 0.00133 -0.330
C 2.00151 -0.61429 -0.95689 -0.018
C -0.15982 -2.38646 0.71976 0.314
C 1.29534 1.63453 -0.43419 0.019
C 0.05341 -0.34829 0.48646 0.089
C -1.96356 1.10680 0.95275 0.060
C -1.26669 0.59394 -1.39359 -0.009
C 2.40701 0.21495 1.26544 0.052
C -2.25180 -0.96267 0.08045 -0.080
H 1.93130 0.87089 2.06288 0.141
H 0.73652 -2.87890 0.56044 0.011
H -1.06052 1.67588 -1.58311 0.131
H -2.59933 -1.29534 1.01270 0.092
H -0.83119 -2.78678 1.35201 0.006
H -2.16133 -1.90687 -0.62372 0.179
H -0.53411 -0.01489 -2.03520 0.135
H 2.22492 -0.78171 1.71264 0.111
H -2.47293 0.45933 1.70673 0.131
H -2.67800 1.65444 0.35312 0.118
H 1.11783 1.58242 -1.43264 0.062
H -2.23178 0.37575 -1.86313 0.125
H 3.42963 0.47732 1.01252 0.127
H 2.37800 1.94121 -0.41336 0.154
H -1.28467 1.91051 1.34976 0.129
H -3.15386 -0.45192 -0.22466 0.111
H 0.55777 2.22889 0.07360 0.109
H 1.23770 -0.93051 -1.70639 0.116
H 2.30544 -1.58740 -0.54648 0.118
H 2.77496 -0.17537 -1.56306 0.128

31
Properties=species:S:1:pos:R:3:lowdin_charge:R:1 method="wB97M-V/def2-TZVPD" total_charge=0 e_tot_ev=-19474.785 spin_multiplicity=1 e_above_lowest_kj_mol=146.3 orbital_gap_ev=7.6
Si -0.04354 0.70190 0.05786 0.807
N 1.27615 -0.09777 0.81721 -0.145
N -1.99886 -0.87123 0.25090 -0.249
C 2.19674 -0.99444 0.23755 -0.329
C 1.00298 2.12260 -2.18067 -0.175
C 0.54099 3.18819 1.38067 -0.083
C -2.70355 -1.04773 1.50140 -0.234
C 1.55903 -2.43509 0.01564 -0.049
C -0.42841 2.32298 1.08981 -0.219
C -0.07827 1.11424 -1.79887 -0.320
C -1.81539 -2.09715 -0.46109 -0.245
H -1.41415 2.46516 1.52211 0.046
H 1.99282 1.76785 -1.78572 0.078
H -1.06016 1.62215 -1.95143 0.081
H -1.17783 -1.86421 -1.25789 0.031
H 2.83479 -0.50271 -0.54198 0.108
H 2.31380 -3.12774 -0.08092 0.040
H 1.67691 3.06644 1.04304 0.105
H -0.09990 0.28600 -2.55828 0.083
H 1.08390 -2.57938 0.93102 0.050
H 0.30826 4.09479 1.81360 0.013
H 1.05939 2.43228 -3.22500 0.076
H -2.66524 -0.12217 2.03892 0.037
H 1.05375 -0.42333 1.70982 0.062
H -2.25624 -1.74888 2.22471 0.060
H 0.73890 2.96429 -1.63782 0.020
H -2.71657 -2.44859 -0.68261 0.022
H 3.06570 -1.10700 0.99643 0.124
H 0.87967 -2.32137 -0.80611 0.047
H -1.36188 -2.99112 0.01683 0.075
H -3.76379 -1.36897 1.32084 0.082

31
Properties=species:S:1:pos:R:3:lowdin_charge:R:1 method="wB97M-V/def2-TZVPD" total_charge=+1 e_tot_ev=-20024.385 spin_multiplicity=1 e_above_lowest_kj_mol=419.3 orbital_gap_ev=4.6
Si -2.30778 -0.23340 0.18586 0.587
O 1.80987 0.36542 -2.07767 -0.067
N 3.49228 0.27030 -0.56274 -0.280
C -1.78483 -1.30671 -1.39701 -0.118
C 2.64093 1.02121 -1.13364 -0.140
C 3.63679 -1.13645 -0.56336 -0.020
C -3.85580 0.78681 -0.24951 -0.141
C -0.52543 2.15735 0.77142 -0.051
C 4.17227 0.94476 0.48817 -0.091
C -0.77935 0.72045 0.71751 0.068
C -2.38905 -1.36266 1.62232 -0.182
........
Desire – The Feeling Within Me
Here’s a longtime secret track I grabbed super cheap a few years back. I held off posting it because, even though it was quite cheap, nobody had it for sale on discogs (though it was cheap on another site), also I never heard anyone talk about it… I almost considered buying up a bunch of…